Wanted:
Please quote all of the listing further down without altering anything.
Source:
........
Cs2CrFeF6: calculated X-ray powder pattern (Cu Kα), based on a cell relaxed with PBE+U.
Neutral-atom scattering factors, no anomalous dispersion.

Atomic structure:
```
data_Cs2CrFeF6
_chemical_formula_sum 'Cs4 Cr2 Fe2 F12'
_cell_length_a 6.213
_cell_length_b 6.213
_cell_length_c 8.633
_cell_angle_alpha 90.00
_cell_angle_beta 90.00
_cell_angle_gamma 90.00
_symmetry_space_group_name_H-M 'I 4/m m m'
_symmetry_Int_Tables_number 139
_symmetry_space_group_name_Hall '-I 4 2'
loop_
_atom_site_label
_atom_site_type_symbol
_atom_site_fract_x
_atom_site_fract_y
_atom_site_fract_z
_atom_site_occupancy
Cs1 Cs 0.000 0.500 0.250 1
Cr1 Cr 0.000 0.000 0.000 1
Fe1 Fe 0.000 0.000 0.500 1
F1 F 0.000 0.000 0.236 1
F2 F 0.239 0.239 0.500 1
```

Principal peaks in the range 5° ≤ 2θ ≤ 70°, sorted by position:
| d_spacing | I/Imax | hkl |
| --- | --- | --- |
| 4.393 | 11 | 1 1 0 |
| 3.106 | 51 | 2 0 0 |
| 3.079 | 100 | 1 1 2 |
| 2.521 | 36 | 2 0 2 |
| 2.197 | 40 | 2 2 0 |
| 2.158 | 19 | 0 0 4 |
| 1.788 | 40 | 3 1 2 |
| 1.772 | 19 | 2 0 4 |
| 1.553 | 12 | 4 0 0 |
| 1.539 | 24 | 2 2 4 |

=====

(1)
Simulated powder diffraction line list of Tl2ReF7 for Cu Kα (weighted mean of Kα1 and Kα2), from a cell relaxed with PBE.
Neutral-atom scattering factors, no anomalous dispersion.

Top 10 peaks for 10 to 80 degrees two-theta, in order of falling intensity:
| d (Å) | 2θ/deg | intensity |
| --- | --- | --- |
| 3.788 | 23.5 | 1000 |
| 3.814 | 23.3 | 669 |
| 3.025 | 29.5 | 501 |
| 3.054 | 29.2 | 454 |
| 2.442 | 36.8 | 290 |
| 3.719 | 23.9 | 251 |
| 2.241 | 40.3 | 231 |
| 1.991 | 45.6 | 220 |
| 2.510 | 35.8 | 201 |
| 2.301 | 39.1 | 196 |

Crystal structure
Lattice parameters (Å, degrees): 14.285 6.666 10.206 90.00 131.64 90.00
Space group C2/c (No. 15)
Unique sites:
1 Tl 0.158 0.168 0.239
2 Re 0.000 0.301 0.750
3 F 0.000 0.402 0.250
4 F 0.073 0.057 0.903
5 F 0.106 0.302 0.690
6 F 0.146 0.388 0.988

(2)
Simulated powder diffraction line list of Ho7Sb4Te4 for Cu Kα (weighted mean of Kα1 and Kα2), from a cell relaxed with PBE.
Neutral-atom scattering factors, no anomalous dispersion.

Top 10 peaks for 10 to 80 degrees two-theta, in order of falling intensity:
| d (Å) | 2θ/deg | intensity |
| --- | --- | --- |
| 2.830 | 31.6 | 1000 |
| 2.590 | 34.6 | 551 |
| 3.082 | 29.0 | 477 |
| 2.670 | 33.6 | 377 |
| 2.009 | 45.1 | 368 |
| 2.518 | 35.7 | 256 |
| 2.017 | 44.9 | 244 |
| 4.034 | 22.0 | 243 |
| 4.778 | 18.6 | 187 |
| 1.415 | 66.0 | 183 |

Crystal structure
Lattice parameters (Å, degrees): 15.109 15.109 8.069 90.00 90.00 90.00
Space group I4/mmm (No. 139)
Unique sites:
1 Ho 0.000 0.000 0.240
2 Ho 0.000 0.284 0.000
3 Ho 0.000 0.361 0.500
4 Ho 0.208 0.208 0.500
5 Sb 0.148 0.352 0.250
6 Te 0.000 0.164 0.500
7 Te 0.122 0.122 0.000
........
Written answer:
Cs2CrFeF6: calculated X-ray powder pattern (Cu Kα), based on a cell relaxed with PBE+U.
Neutral-atom scattering factors, no anomalous dispersion.

Atomic structure:
```
data_Cs2CrFeF6
_chemical_formula_sum 'Cs4 Cr2 Fe2 F12'
_cell_length_a 6.213
_cell_length_b 6.213
_cell_length_c 8.633
_cell_angle_alpha 90.00
_cell_angle_beta 90.00
_cell_angle_gamma 90.00
_symmetry_space_group_name_H-M 'I 4/m m m'
_symmetry_Int_Tables_number 139
_symmetry_space_group_name_Hall '-I 4 2'
loop_
_atom_site_label
_atom_site_type_symbol
_atom_site_fract_x
_atom_site_fract_y
_atom_site_fract_z
_atom_site_occupancy
Cs1 Cs 0.000 0.500 0.250 1
Cr1 Cr 0.000 0.000 0.000 1
Fe1 Fe 0.000 0.000 0.500 1
F1 F 0.000 0.000 0.236 1
F2 F 0.239 0.239 0.500 1
```

Principal peaks in the range 5° ≤ 2θ ≤ 70°, sorted by position:
| d_spacing | I/Imax | hkl |
| --- | --- | --- |
| 4.393 | 11 | 1 1 0 |
| 3.106 | 51 | 2 0 0 |
| 3.079 | 100 | 1 1 2 |
| 2.521 | 36 | 2 0 2 |
| 2.197 | 40 | 2 2 0 |
| 2.158 | 19 | 0 0 4 |
| 1.788 | 40 | 3 1 2 |
| 1.772 | 19 | 2 0 4 |
| 1.553 | 12 | 4 0 0 |
| 1.539 | 24 | 2 2 4 |

=====

(1)
Simulated powder diffraction line list of Tl2ReF7 for Cu Kα (weighted mean of Kα1 and Kα2), from a cell relaxed with PBE.
Neutral-atom scattering factors, no anomalous dispersion.

Top 10 peaks for 10 to 80 degrees two-theta, in order of falling intensity:
| d (Å) | 2θ/deg | intensity |
| --- | --- | --- |
| 3.788 | 23.5 | 1000 |
| 3.814 | 23.3 | 669 |
| 3.025 | 29.5 | 501 |
| 3.054 | 29.2 | 454 |
| 2.442 | 36.8 | 290 |
| 3.719 | 23.9 | 251 |
| 2.241 | 40.3 | 231 |
| 1.991 | 45.6 | 220 |
| 2.510 | 35.8 | 201 |
| 2.301 | 39.1 | 196 |

Crystal structure
Lattice parameters (Å, degrees): 14.285 6.666 10.206 90.00 131.64 90.00
Space group C2/c (No. 15)
Unique sites:
1 Tl 0.158 0.168 0.239
2 Re 0.000 0.301 0.750
3 F 0.000 0.402 0.250
4 F 0.073 0.057 0.903
5 F 0.106 0.302 0.690
6 F 0.146 0.388 0.988

(2)
Simulated powder diffraction line list of Ho7Sb4Te4 for Cu Kα (weighted mean of Kα1 and Kα2), from a cell relaxed with PBE.
Neutral-atom scattering factors, no anomalous dispersion.

Top 10 peaks for 10 to 80 degrees two-theta, in order of falling intensity:
| d (Å) | 2θ/deg | intensity |
| --- | --- | --- |
| 2.830 | 31.6 | 1000 |
| 2.590 | 34.6 | 551 |
| 3.082 | 29.0 | 477 |
| 2.670 | 33.6 | 377 |
| 2.009 | 45.1 | 368 |
| 2.518 | 35.7 | 256 |
| 2.017 | 44.9 | 244 |
| 4.034 | 22.0 | 243 |
| 4.778 | 18.6 | 187 |
| 1.415 | 66.0 | 183 |

Crystal structure
Lattice parameters (Å, degrees): 15.109 15.109 8.069 90.00 90.00 90.00
Space group I4/mmm (No. 139)
Unique sites:
1 Ho 0.000 0.000 0.240
2 Ho 0.000 0.284 0.000
3 Ho 0.000 0.361 0.500
4 Ho 0.208 0.208 0.500
5 Sb 0.148 0.352 0.250
6 Te 0.000 0.164 0.500
7 Te 0.122 0.122 0.000